Assignment >
The reader should find the line further below that holds "1.0565", then repeat that line and all lines after it there.

Source >
Entry 1:
A molecular structure, C20H18F6MgN8O6S2 at a distorted geometry. Source: the Open Molecules 2025 dataset; level of theory: ωB97M-V/def2-TZVPD.

Computed properties:
E = -3258.06465 a.u.
energy above the lowest of the compared OMol25 structures with the same formula, charge and spin = 0.0 kcal/mol
gap between HOMO and LUMO = 5.461 eV
highest occupied orbital energy = -6.46 eV

Geometry (Å):
S  -1.7437  2.2956  1.1707
S  -3.0753  1.5064  -1.1060
Mg  -0.1067  0.1681  -0.7462
F  -4.4930  1.9290  -3.3190
F  -3.2718  3.6148  -2.6857
F  -5.1434  3.1507  -1.6063
F  -1.3580  4.8625  1.4305
F  0.4413  3.6005  1.8541
F  -0.2606  3.8965  -0.2488
O  -1.8867  1.0132  -1.7736
O  -2.3513  2.4145  2.4826
O  2.5062  -2.0772  -2.0044
O  -0.9755  1.1023  0.8664
O  -2.6484  -1.8273  -0.7664
O  -3.9530  0.4167  -0.7284
N  -1.3542  -1.5735  -1.2520
N  1.2996  -1.8244  -1.7751
N  1.8181  0.7462  0.2964
N  0.4708  -1.0096  1.2500
N  1.3139  1.2102  -2.1382
N  -2.7382  2.5463  -0.0225
N  -0.3462  -2.3503  2.9795
N  2.0763  0.5823  1.5958
C  2.7162  3.1740  -3.5991
C  -0.9019  -2.6742  -1.8026
C  2.4576  1.7884  -1.6782
C  2.1289  -0.3789  5.8065
C  -1.9017  -3.7619  -2.1185
C  0.8862  1.6172  -3.3467
C  1.3364  -0.3908  2.0936
C  -0.6284  3.7796  1.0565
C  -0.3040  -1.9367  1.7218
C  -4.0959  2.6501  -2.2682
C  1.5276  2.5945  -4.0682
C  1.0439  -1.1609  6.2615
C  1.4055  -0.7733  3.4910
C  2.6982  1.5038  -0.2746
C  3.2478  2.6920  -2.4069
C  2.3264  -0.2352  4.4520
C  0.4527  -1.6921  3.9631
C  0.2603  -1.8920  5.3416
C  0.4541  -2.8437  -2.0712
C  0.9278  -4.1596  -2.5459
H  -1.0623  -2.3323  1.0521
H  0.4936  -4.3988  -3.5228
H  -2.2428  -4.2046  -1.1759
H  0.8117  -1.2468  7.3260
H  -0.9735  -3.0903  3.3222
H  2.0308  -4.1285  -2.6101
H  -3.1144  -0.9749  -0.5862
H  0.6492  -4.9547  -1.8829
H  -0.0544  1.1564  -3.6685
H  -0.5755  -2.5285  5.6728
H  4.1925  3.1119  -1.9880
H  1.0802  2.9342  -5.0079
H  -2.7603  -3.3059  -2.6292
H  2.7361  0.1152  6.5155
H  -1.5035  -4.5411  -2.7709
H  3.2094  3.9802  -4.1396
H  3.1614  0.4029  4.1573
H  3.6638  1.7116  0.1753

=====

Entry 2:
A gas-phase ion, C5H11N2O (charge +1) at a distorted geometry. Source: the Open Molecules 2025 dataset; level of theory: ωB97M-V/def2-TZVPD.

Computed properties:
E = -381.47687 a.u.
energy above the lowest of the compared OMol25 structures with the same formula, charge and spin = 39.3 kcal/mol
spin multiplicity = 3
gap between HOMO and LUMO (spin up / spin down) = 7.774 / 11.762 eV
highest occupied orbital energy (spin up / spin down) = -11.91 / -16.40 eV
charge = +1

Geometry (Å):
O  3.2635  -1.2217  0.4844
N  -0.1172  0.8093  0.3722
N  2.4693  -0.6298  -0.1397
C  1.0382  1.3398  -0.3616
C  -0.3974  -1.0104  -1.1321
C  -0.7365  -0.2561  0.0712
C  -1.6710  -0.8791  1.0164
C  2.3427  0.8015  0.1873
H  3.1012  1.2884  -0.4451
H  -1.2418  -0.9065  -1.7413
H  -2.5212  -0.2366  1.2669
H  0.9823  2.4723  -0.1586
H  -2.0699  -1.7850  0.7151
H  -0.3584  1.2563  1.2772
H  0.9675  1.1024  -1.3996
H  2.5759  1.0256  1.2737
H  0.4659  -0.4958  -1.4983
H  -0.1708  -2.0999  -1.0516
H  -1.0236  -1.0251  1.9256

=====

Entry 3:
A molecular structure, C53H40ClHfN4O3PS at a distorted geometry. Source: the Open Molecules 2025 dataset; level of theory: ωB97M-V/def2-TZVPD.

Computed properties:
E = -3735.68928 a.u.
energy above the lowest of the compared OMol25 structures with the same formula, charge and spin = 32.2 kcal/mol
gap between HOMO and LUMO (spin up / spin down) = 3.713 / 3.713 eV
highest occupied orbital energy (spin up / spin down) = -11.90 / -11.90 eV
charge = +2

Geometry (Å):
Hf  -24.9007  6.6636  6.0986
Cl  -21.6477  13.0522  10.0792
S  -23.7303  2.8928  11.1408
P  -24.9022  -0.4931  3.1039
O  -25.9550  5.2444  7.1222
O  -23.7071  8.4365  5.7502
O  -23.8947  7.5190  7.7983
N  -23.3213  5.3135  5.4847
N  -25.3531  6.5216  4.0069
N  -26.9393  7.8879  6.4886
N  -19.0858  5.8691  -2.5396
C  -21.3294  7.1739  -0.1640
C  -21.0925  5.7453  4.8564
C  -22.4758  4.9295  6.4610

Here it is >
C  -0.6284  3.7796  1.0565
C  -0.3040  -1.9367  1.7218
C  -4.0959  2.6501  -2.2682
C  1.5276  2.5945  -4.0682
C  1.0439  -1.1609  6.2615
C  1.4055  -0.7733  3.4910
C  2.6982  1.5038  -0.2746
C  3.2478  2.6920  -2.4069
C  2.3264  -0.2352  4.4520
C  0.4527  -1.6921  3.9631
C  0.2603  -1.8920  5.3416
C  0.4541  -2.8437  -2.0712
C  0.9278  -4.1596  -2.5459
H  -1.0623  -2.3323  1.0521
H  0.4936  -4.3988  -3.5228
H  -2.2428  -4.2046  -1.1759
H  0.8117  -1.2468  7.3260
H  -0.9735  -3.0903  3.3222
H  2.0308  -4.1285  -2.6101
H  -3.1144  -0.9749  -0.5862
H  0.6492  -4.9547  -1.8829
H  -0.0544  1.1564  -3.6685
H  -0.5755  -2.5285  5.6728
H  4.1925  3.1119  -1.9880
H  1.0802  2.9342  -5.0079
H  -2.7603  -3.3059  -2.6292
H  2.7361  0.1152  6.5155
H  -1.5035  -4.5411  -2.7709
H  3.2094  3.9802  -4.1396
H  3.1614  0.4029  4.1573
H  3.6638  1.7116  0.1753

=====

Entry 2:
A gas-phase ion, C5H11N2O (charge +1) at a distorted geometry. Source: the Open Molecules 2025 dataset; level of theory: ωB97M-V/def2-TZVPD.

Computed properties:
E = -381.47687 a.u.
energy above the lowest of the compared OMol25 structures with the same formula, charge and spin = 39.3 kcal/mol
spin multiplicity = 3
gap between HOMO and LUMO (spin up / spin down) = 7.774 / 11.762 eV
highest occupied orbital energy (spin up / spin down) = -11.91 / -16.40 eV
charge = +1

Geometry (Å):
O  3.2635  -1.2217  0.4844
N  -0.1172  0.8093  0.3722
N  2.4693  -0.6298  -0.1397
C  1.0382  1.3398  -0.3616
C  -0.3974  -1.0104  -1.1321
C  -0.7365  -0.2561  0.0712
C  -1.6710  -0.8791  1.0164
C  2.3427  0.8015  0.1873
H  3.1012  1.2884  -0.4451
H  -1.2418  -0.9065  -1.7413
H  -2.5212  -0.2366  1.2669
H  0.9823  2.4723  -0.1586
H  -2.0699  -1.7850  0.7151
H  -0.3584  1.2563  1.2772
H  0.9675  1.1024  -1.3996
H  2.5759  1.0256  1.2737
H  0.4659  -0.4958  -1.4983
H  -0.1708  -2.0999  -1.0516
H  -1.0236  -1.0251  1.9256

=====

Entry 3:
A molecular structure, C53H40ClHfN4O3PS at a distorted geometry. Source: the Open Molecules 2025 dataset; level of theory: ωB97M-V/def2-TZVPD.

Computed properties:
E = -3735.68928 a.u.
energy above the lowest of the compared OMol25 structures with the same formula, charge and spin = 32.2 kcal/mol
gap between HOMO and LUMO (spin up / spin down) = 3.713 / 3.713 eV
highest occupied orbital energy (spin up / spin down) = -11.90 / -11.90 eV
charge = +2

Geometry (Å):
Hf  -24.9007  6.6636  6.0986
Cl  -21.6477  13.0522  10.0792
S  -23.7303  2.8928  11.1408
P  -24.9022  -0.4931  3.1039
O  -25.9550  5.2444  7.1222
O  -23.7071  8.4365  5.7502
O  -23.8947  7.5190  7.7983
N  -23.3213  5.3135  5.4847
N  -25.3531  6.5216  4.0069
N  -26.9393  7.8879  6.4886
N  -19.0858  5.8691  -2.5396
C  -21.3294  7.1739  -0.1640
C  -21.0925  5.7453  4.8564
C  -22.4758  4.9295  6.4610